<<<
! PBE-GGA RbNa2PdAu, relaxed; values from VASP
! total energy: -2.496 eV per atom
! space group: No. 123
! crystal system: tetragonal
&SYSTEM
  ibrav = 0, nat = 5, ntyp = 4
/
ATOMIC_SPECIES
Na 22.99 Na.upf
Au 196.97 Au.upf
Rb 85.47 Rb.upf
Pd 106.42 Pd.upf
CELL_PARAMETERS angstrom
-3.508 1.979 -3.658
1.629 -3.749 -3.591
-3.752 -3.345 1.790
ATOMIC_POSITIONS crystal
Na 0.000 0.500 0.000
Na 0.500 0.000 0.000
Au 0.000 0.000 0.500
Rb 0.500 0.500 0.500
Pd 0.000 0.000 0.000

***

! PBE-GGA Pm5SmGa2, relaxed; values from VASP
! total energy: -4.477 eV per atom
! space group: No. 71
! crystal system: orthorhombic
&SYSTEM
  ibrav = 0, nat = 8, ntyp = 3
/
ATOMIC_SPECIES
Pm 145.00 Pm.upf
Sm 150.36 Sm.upf
Ga 69.72 Ga.upf
CELL_PARAMETERS angstrom
-2.093 3.720 0.883
-7.093 -0.716 -3.036
-4.207 -1.325 6.371
ATOMIC_POSITIONS crystal
Pm 0.000 0.500 0.500
Pm 0.651 0.549 0.149
Pm 0.349 0.451 0.851
Pm 0.349 0.851 0.451
Pm 0.651 0.149 0.549
Sm 0.000 0.000 0.000
Ga 0.715 0.785 0.785
Ga 0.285 0.215 0.215

***

! PBE-GGA Tc2Sb, relaxed; values from VASP
! total energy: -8.097 eV per atom
! formation energy without anion corrections: 0.19 eV per atom
! space group: No. 63
! offset from the most stable computed form: 0.0817 eV/atom
! crystal system: orthorhombic
&SYSTEM
  ibrav = 0, nat = 6, ntyp = 2
/
ATOMIC_SPECIES
Tc 98.00 Tc.upf
Sb 121.76 Sb.upf
CELL_PARAMETERS angstrom
-5.482 3.132 -4.071
3.093 -4.724 4.955
-0.785 3.081 3.427
ATOMIC_POSITIONS crystal
Tc 0.103 0.897 0.750
Tc 0.456 0.544 0.750
Tc 0.544 0.456 0.250
Tc 0.897 0.103 0.250
Sb 0.799 0.201 0.750
Sb 0.201 0.799 0.250

* * * * *

Below is a geometry-optimized Al2SiNi structure, with properties calculated at the GGA-PBEsol level.

Output
Energy above the lowest structure with this stoichiometry = 0 meV/atom
E_form (uncorrected) = -0.348 eV per atom

Unit cell a=6.149 b=7.399 c=4.869 alpha=90.00 beta=90.00 gamma=90.00
Space group Pnma (No. 62)
Inequivalent atoms, fractional coordinates:
Al (0.163, 0.052, 0.166) x8
Si (0.023, 0.750, 0.428) x4
Ni (0.146, 0.750, 0.969) x4

Below is a geometry-optimized LuCuPbSe3 structure, with properties calculated at the GGA-PBEsol level.

Output
E_form (uncorrected) = -0.994 eV per atom

Unit cell a=10.268 b=3.954 c=13.363 alpha=90.00 beta=90.00 gamma=90.00
Space group Pnma (No. 62)
Inequivalent atoms, fractional coordinates:
Lu (0.017, 0.250, 0.246) x4
Cu (0.239, 0.250, 0.719) x4
Pb (0.231, 0.750, 0.507) x4
Se (0.045, 0.250, 0.613) x4
Se (0.076, 0.750, 0.107) x4
Se (0.236, 0.750, 0.829) x4

Below is a geometry-optimized La5Ru3 structure, with properties calculated at the GGA-PBEsol level.

Output
Energy above the lowest structure with this stoichiometry = 12 meV/atom

Unit cell a=11.059 b=11.059 c=6.248 alpha=90.00 beta=90.00 gamma=90.00
Space group I4/mcm (No. 140)
Inequivalent atoms, fractional coordinates:
La (0.000, 0.500, 0.250) x4
La (0.088, 0.210, 0.000) x16
Ru (0.000, 0.000, 0.250) x4
Ru (0.153, 0.347, 0.500) x8

Below is a geometry-optimized La2RuBr structure, with properties calculated at the GGA-PBEsol level.

Output
Energy above the lowest structure with this stoichiometry = 326 meV/atom
E_form (uncorrected) = -0.517 eV per atom

Unit cell a=3.481 b=4.953 c=5.462 alpha=90.00 beta=90.00 gamma=90.00
Space group Pmmm (No. 47)
Inequivalent atoms, fractional coordinates:
La (0.000, 0.000, 0.000) x1
La (0.000, 0.500, 0.500) x1
Ru (0.500, 0.000, 0.500) x1
Br (0.500, 0.500, 0.000) x1

Below is a geometry-optimized TlZnMo2 structure, with properties calculated at the GGA-PBEsol level.

Output
Energy above the lowest structure with this stoichiometry = 179 meV/atom

Unit cell a=3.327 b=4.335 c=4.546 alpha=90.00 beta=90.00 gamma=90.00
Space group Pmmm (No. 47)
Inequivalent atoms, fractional coordinates:
Tl (0.000, 0.000, 0.000) x1
Zn (0.500, 0.500, 0.000) x1
Mo (0.000, 0.500, 0.500) x1
Mo (0.500, 0.000, 0.500) x1

Below is a geometry-optimized Y2GeO5 structure, with properties calculated at the GGA-PBEsol level.

Output
>>>

Say how many lines of the rows further up hold the word "Tc", as a bare number, please.

5